Went to a new Church with friends today

It was a lovely little congregation called Unity Center for Positive Living; it wasn't very big, but it felt like a nice reprieve from the darkness that has settled over my St. Timothy's.

I got back to Seattle late last night; didn't think I was going to make it, to be completely honest. I was jet-lagged as all hell and just generally felt like crap, I tried pulling energy from one of my Gods and we nearly killed each other! I got home at 1:08 and didn't actually fall asleep til somewhere around 3-ish, I remember asking them to please try and wake me up on time. I woke up at 7:45, just before a friend called me to ask when she should be ready.

We made it about 30 minutes early, the whole place had a sort-of old yet still sturdy kind of vibe. It did initially spook me when I spotted the cross, the inside was reminiscent of the always-well-hated Baptist congregations of my tortured youth. A pianist played music from an old hymnal, it seemed to be renditions of classic Christian hymns re imagined for a more open faith. The Priest (Pastor?) was an older woman whose name escapes me at the moment, (I think it was Joyce.) she seemed to have a healthy energy to her, which is always a good thing in a Church! The service started off with a brief meditation period, and then we were off to the races!

I kid, I kid! In reality, it was relatively slow. It was a range of prayers, a few feel-good chants, a reading from Luke, (though I'm not sure of the translation) another slightly longer meditation on the reading, some healing prayers for friends, family, and foe alike, and finally a dismissal.

┌──
(1)
{"formula": "C6H15NOS2", "method": "the ωB97M-V functional and the def2-TZVPD basis", "mol_weight_g_mol": 181.33, "homo_energy_ev": -8.8, "lumo_ev": 0.620, "charge": 0, "relative_energy_kj_mol": 0.0, "smiles": "CC(N)=O.CCSSCC", "homo_lumo_gap_ev": 9.45, "elements": ["C", "C", "N", "O", "H", "H", "H", "H", "H", "C", "C", "S", "S", "C", "C", "H", "H", "H", "H", "H", "H", "H", "H", "H", "H"], "xyz": [[-3.018200, 0.857534, 2.405181], [-1.898391, 0.555695, 1.433559], [-1.055753, -0.446071, 1.826389], [-1.747130, 1.152792, 0.376807], [-3.638479, 1.674756, 2.000197], [-2.616706, 1.172074, 3.383168], [-3.658002, -0.028207, 2.555931], [-1.184854, -0.943645, 2.710852], [-0.279005, -0.694132, 1.208591], [0.136157, -1.778839, -3.238850], [0.002553, -1.531975, -1.744793], [1.590274, -1.577786, -0.854174], [2.543414, 0.077171, -1.572534], [1.959576, 1.384073, -0.446787], [2.467738, 1.231169, 0.977787], [-0.854123, -1.738833, -3.722950], [0.580525, -2.770446, -3.428199], [0.782436, -1.010644, -3.695804], [-0.488883, -0.562737, -1.533763], [-0.595286, -2.325725, -1.256939], [2.334219, 2.316867, -0.910469], [0.853541, 1.409954, -0.484833], [3.570166, 1.259246, 0.999655], [2.082381, 2.048080, 1.610839], [2.131832, 0.269628, 1.401139]], "forces_ev_per_a": [[-0.46, 0.34, 0.09], [0.23, -0.06, -0.20], [0.15, -0.24, 0.13], [-0.02, -0.29, 0.46], [0.34, -0.41, 0.17], [-0.12, -0.18, -0.35], [0.29, 0.29, -0.03], [0.15, 0.42, -0.78], [-0.40, 0.08, 0.42], [0.07, -0.10, -0.21], [-0.43, 0.15, 0.19], [-0.10, 0.01, -0.01], [0.03, 0.05, 0.10], [-0.37, 0.31, -0.17], [0.14, 0.00, 0.17], [0.36, 0.01, 0.15], [-0.16, 0.39, 0.03], [-0.27, -0.31, 0.14], [0.19, -0.46, -0.05], [0.20, 0.33, -0.20], [-0.18, -0.38, 0.20], [0.50, 0.03, 0.02], [-0.42, -0.04, 0.04], [0.11, -0.31, -0.19], [0.16, 0.38, -0.10]], "lowdin_charge": [-0.022, -0.594, 0.151, 0.024, 0.086, 0.084, 0.084, 0.112, 0.065, -0.188, -0.623, 0.478, 0.495, -0.611, -0.191, 0.075, 0.072, 0.052, 0.061, 0.071, 0.072, 0.055, 0.072, 0.076, 0.042]}

(2)
└──

It's Palm Sunday, Lent, so the reading was on the crucification. Afterward, we meditated on the reading. From the point of view of the donkey. (Trust me, I know how it sounds.) It was kinda nice, we were told to imagine ourselves on that desert road, on the way to what certainly must have felt like utter doom. I found myself shifting through several emotions as my perspective changed from disciple to disciple, to Jesus himself. I felt a range of emotions: Anger, hopelessness, longing, fear for the unknown, anguish.

It's times like this when I am equally thankful as I am annoyed to be an empath. It can either be a boon or a bane, there is no in-between. I feel like a Goddamn Pensieve, just getting random emotional bursts before they flitter away just as fast as they came! It's good too, sometimes, when someone is hurting and I can relieve their pain. My Aunt always said I was a healer, I never believed her til now. I actually openly mentioned my other Gods and my abilities and didn't have someone smile and nod like I'm in a fucking funny farm or give me some cheap little condescending smirk! Ha!

I still have friends at St. Tim's, I'd feel bad if I just up and left. It's like I haven't been going long enough to be received, but I also had my baptism renewed there. I might just alternate between the two, both are equally nice, so I think it'd be OK.

Attached: quantum chemistry results =
~~~
No. 1
Density functional theory data (ωB97M-V with the def2-TZVPD basis set) for a molecular structure, C34H40BrCrN2O4Si.

The calculation puts the LUMO energy (spin up / spin down) at -0.453 / -0.561 eV. As for the electronic energy: -153423.146 eV. The expectation value of S² is 0.7654. As for the spin multiplicity: 2.

```
83
Properties=species:S:1:pos:R:3:lowdin_spin:R:1
Cr -2.28 -0.60 -0.95 0.981
O -3.54 -4.40 -1.18 0.003
C -3.27 -3.26 -0.89 0.003
O -2.52 -2.40 -1.60 0.021
C -3.78 -2.63 0.39 -0.003
C -4.58 -3.20 1.35 0.001
C -4.94 -2.41 2.44 -0.004
C -4.50 -1.10 2.53 0.001
C -3.70 -0.61 1.53 -0.002
N -3.35 -1.39 0.51 -0.005
C -3.14 0.78 1.39 0.002
O -3.37 1.63 2.22 0.001
O -2.42 0.91 0.29 0.017
H -4.91 -4.22 1.22 0.000
H -5.57 -2.83 3.22 0.000
H -4.78 -0.44 3.35 0.000
C -6.02 1.18 -2.22 -0.003
C -5.57 1.97 -3.28 0.009
C -4.24 1.92 -3.67 -0.002
C -3.36 1.08 -2.98 0.002
C -3.78 0.30 -1.90 -0.037
C -5.13 0.36 -1.53 0.002
C -1.96 0.88 -3.37 0.009
C -1.35 1.58 -4.44 -0.001
C -0.09 1.25 -4.82 0.008
C 0.58 0.17 -4.20 0.000
C 1.84 -0.29 -4.65 0.001
C 2.41 -1.39 -4.09 -0.001
C 1.74 -2.07 -3.05 0.002
C 0.53 -1.63 -2.57 -0.001
C -0.07 -0.48 -3.13 0.001
N -1.30 -0.03 -2.67 -0.005
H -7.06 1.22 -1.92 -0.001
H -6.26 2.61 -3.82 0.001
H -3.90 2.51 -4.51 0.000
H -5.51 -0.23 -0.70 0.000
H -1.89 2.37 -4.94 0.000
H 0.40 1.79 -5.62 0.000
H 2.32 0.23 -5.47 0.000
H 3.37 -1.75 -4.44 0.000
H 2.17 -2.98 -2.63 0.000
H 0.01 -2.19 -1.81 0.000
C 1.64 -0.68 4.25 0.000
C 2.56 -0.91 3.03 0.000
C 4.02 -0.62 3.43 0.000
C 2.43 -2.41 2.68 0.000
Si 2.07 0.21 1.58 0.000
Br 0.18 -0.91 0.80 0.001
C 1.52 1.95 2.07 0.000
C 1.35 2.86 0.85 0.000
C 0.16 1.93 2.80 0.000
C 2.59 2.57 3.00 0.000
C 3.28 0.19 0.13 0.000
C 3.77 -1.25 -0.13 0.000
C 4.50 1.08 0.44 0.000
C 2.62 0.71 -1.16 0.000
H 1.92 -1.40 5.03 0.000
H 0.59 -0.85 4.01 0.000
H 1.74 0.32 4.68 0.000
H 4.25 -1.18 4.34 0.000
H 4.20 0.45 3.64 0.000
H 4.73 -0.93 2.65 0.000
H 2.82 -2.99 3.53 0.000
H 2.99 -2.70 1.79 0.000
H 1.39 -2.71 2.53 0.000
H 0.66 2.44 0.10 0.000
H 2.31 3.09 0.36 0.000
H 0.93 3.82 1.19 0.000
H -0.65 1.68 2.11 0.000
H -0.05 2.93 3.19 0.000
H 0.11 1.23 3.64 0.000
H 3.59 2.59 2.55 0.000
H 2.66 2.06 3.96 0.000
H 2.30 3.61 3.21 0.000
H 4.36 -1.65 0.70 0.000
H 4.42 -1.24 -1.02 0.000
H 2.94 -1.94 -0.33 0.000
H 5.05 0.77 1.34 0.000
H 4.22 2.14 0.57 0.000
H 5.20 1.03 -0.41 0.000
H 1.64 0.25 -1.35 0.000
H 3.27 0.44 -2.01 0.000
H 2.50 1.79 -1.17 0.000
```



No. 2
Density functional theory data (ωB97M-V with the def2-TZVPD basis set) for 2 unconnected molecules or ions with the total composition C4H6N2O2.

The calculation puts the LUMO energy at 0.750 eV. As for the electronic energy: -11316.197 eV.

```
14
Properties=species:S:1:pos:R:3:lowdin_charge:R:1
H -3.30 0.77 0.17 0.065
N -2.73 -0.12 0.17 -0.031
N -2.19 -0.32 -0.92 -0.017
H -2.41 0.43 -1.63 0.067
C 1.80 -0.93 -0.47 -0.104
C 1.95 0.37 -0.65 -0.108
O 1.23 1.33 0.02 -0.051
C 0.33 0.78 0.91 -0.137
C 0.17 -0.53 1.09 -0.141
O 0.90 -1.49 0.42 -0.043
H 2.40 -1.68 -1.00 0.129
~~~

We had a small meal after where we chatted with some of the other members, it was nice. I didn't sense any hostility, just joy at making new friends. I chatted about my abilities and my Gods a bit, nobody laughed or brushed me off, one woman even mentioned she dabbled in tarot as well! Overall, it was a good day!

/*
No. 1
Formula: C23H22N5ORuS
Source: the Open Molecules 2025 dataset
Level of theory: ωB97M-V with the def2-TZVPD basis set

Last column: Mulliken charge in e.
Atoms and positions in Å:
Ru -0.306 -0.308 -0.135  0.416
C -2.215 1.096 -2.081  -1.423
N -2.247 0.160 -0.933  0.325
C -2.845 0.772 0.273  -0.849
C -1.876 1.753 0.903  0.882
C -2.223 3.032 1.308  -0.830
C -1.247 3.851 1.865  -0.402
C 0.043 3.364 2.020  -0.733
C 0.317 2.071 1.600  -0.198
N -0.617 1.289 1.054  0.008
C -2.830 -1.154 -1.294  -1.303
C -1.744 -2.152 -1.652  0.899
C -2.023 -3.454 -2.039  -1.249
C -0.978 -4.404 -1.969  -0.601
C 0.298 -4.018 -1.712  -1.012
C 0.610 -2.565 -1.747  1.338
N -0.504 -1.753 -1.382  0.201
C -0.836 1.577 -2.496  0.557
C -0.672 2.364 -3.633  -0.999
C 0.601 2.771 -3.995  -0.444
C 1.685 2.406 -3.204  -1.052
C 1.437 1.650 -2.076  -0.361
N 0.213 1.240 -1.751  0.712
H -2.823 1.981 -1.854  0.492
H -2.662 0.616 -2.959  0.579
H -3.022 -0.030 1.004  0.378
H -3.811 1.246 0.055  0.405
H -3.233 3.393 1.177  0.445
H -1.492 4.860 2.161  0.450
H 0.823 3.973 2.451  0.451
H 1.304 1.629 1.713  0.500
H -3.553 -1.068 -2.114  0.519
H -3.370 -1.575 -0.436  0.491
H -3.034 -3.761 -2.250  0.560
H -1.212 -5.449 -2.077  0.511
H 1.104 -4.720 -1.597  0.492
H 2.220 -1.322 -1.359  0.589
H -1.528 2.653 -4.222  0.528
H 0.753 3.365 -4.883  0.464
H 2.690 2.712 -3.450  0.479
H 2.229 1.371 -1.392  0.554
O 1.284 -1.542 0.353  -0.934
N 1.770 -2.073 -0.803  0.563
C 2.782 -3.081 -0.578  -0.881
C 3.518 -3.540 -1.616  -0.424
C 3.386 -3.189 -2.979  -0.310
C 2.339 -2.540 -3.629  -0.745
C 1.074 -2.220 -3.167  0.206
S -0.099 -1.466 -4.152  -0.079
H 2.882 -3.391 0.449  0.437
H 4.313 -4.230 -1.372  0.455
H 4.210 -3.487 -3.611  0.438
H 2.496 -2.305 -4.675  0.504

Results
Total charge: +2
Multiplicity: 2
Relative energy (zero: lowest compared OMol25 entry of this formula, charge and spin) (kJ/mol): 659.70
Kohn-Sham gap (spin up / spin down) (eV): 6.5 / 5.8
<S²>: 0.86

***

No. 2
Formula: C25H58ClN10O12P
Source: the Open Molecules 2025 dataset
Level of theory: ωB97M-V with the def2-TZVPD basis set

Last column: Mulliken charge in e.
Atoms and positions in Å:
O -1.453 2.216 5.368  -0.554
C -2.363 1.483 4.721  0.533
C -3.599 1.940 3.708  -0.624
C -3.441 0.762 2.530  -0.016
P -3.119 1.490 0.794  0.313
O -4.720 1.820 0.101  -0.481
Cl -2.099 3.361 0.882  -0.290
C -2.360 -0.318 3.143  -0.273
C -2.647 -1.927 3.014  -0.503
C -1.159 -2.671 2.844  -0.052
C -0.803 -3.561 4.214  -0.071
O -0.315 -2.584 5.234  -0.540
N -2.536 -0.048 4.651  -0.516
H -4.677 1.817 4.204  0.257
H -3.554 3.070 3.349  0.267
H -4.503 0.275 2.444  0.285
H -4.592 1.614 -0.872  0.400
H -1.299 0.117 2.911  0.352
H -3.073 -2.331 4.035  0.184
H -3.335 -2.242 2.121  0.310
H -1.183 -3.396 1.915  0.115
H -0.278 -1.888 2.734  0.093
H 0.016 -4.339 3.892  0.243
H -1.770 -4.044 4.678  -0.061
H -0.035 -3.058 6.074  0.280
H -3.588 -0.184 4.736  0.354
C -3.442 -6.412 1.597  -0.937
C -1.971 -6.479 1.890  0.733
N -1.526 -7.642 2.440  -0.401
*/

I'll end this here, as I can't think of anything more to add. Good day and happy existence to all who read me! (and those of you who don't, as well!)